Activity:
Could you give back the material underneath from the line with "-0.64 1.46" to the end without additions?

Contents:
~~~
1.
Formula: C5H10O
Source: OMol25
Level of theory: ωB97M-V with the def2-TZVPD basis set

Calculated values
Energy in eV: -7392.7817
Kohn-Sham gap in eV: 10.31
HOMO in eV: -9.211
Max |F| in Eh/bohr: 0.008
SMILES: C=CCCOC
LUMO energy in eV: 1.1014

Cartesian coordinates (Å):
C 1.74 -0.91 -0.37
O 0.82 0.05 -0.83
C 0.10 1.06 1.49
C -0.98 1.21 0.73
C -1.54 0.02 0.02
C -0.51 -0.33 -1.11
H 1.33 -1.61 0.37
H 2.15 -1.49 -1.21
H 2.57 -0.37 0.10
H 0.42 0.06 1.77
H 0.76 1.88 1.75
H -1.26 2.20 0.36
H -2.52 0.22 -0.43
H -1.69 -0.83 0.71
H -0.57 -1.40 -1.37
H -0.80 0.25 -1.99

---

2.
Formula: C5H10O
Source: OMol25
Level of theory: ωB97M-V with the def2-TZVPD basis set

Calculated values
Energy in eV: -7393.3531
Kohn-Sham gap in eV: 10.99
HOMO in eV: -9.917
Max |F| in Eh/bohr: 0.010
SMILES: C[C@H]1OC1(C)C
LUMO energy in eV: 1.0741

Cartesian coordinates (Å):
C 0.24 -0.55 -2.09
C 0.55 0.32 -0.88
O -0.64 1.03 -0.53
C -0.05 0.20 0.47
C 0.32 1.18 1.56
C -0.70 -1.08 0.94
H 0.82 -0.24 -2.96
H -0.80 -0.30 -2.30
H 0.29 -1.64 -1.98
H 1.49 0.88 -0.91
H 0.70 2.09 1.08
H -0.64 1.46 2.01
H 1.01 0.85 2.34
H -0.09 -1.52 1.73
H -0.81 -1.82 0.14
H -1.69 -0.86 1.37

---

3.
Formula: C5H10O
Source: OMol25
Level of theory: ωB97M-V with the def2-TZVPD basis set

Calculated values
Energy in eV: -7393.0223
Kohn-Sham gap in eV: 10.59
HOMO in eV: -9.547
Max |F| in Eh/bohr: 0.037
SMILES: C=CC.CC=O
LUMO energy in eV: 1.0473

Cartesian coordinates (Å):
C 1.37 -0.89 1.64
C 1.18 -0.49 0.20
C 1.63 0.67 -0.28
H 1.02 -1.91 1.82
H 0.91 -0.19 2.35
H 2.43 -0.85 1.89
H 0.74 -1.26 -0.43
H 1.69 0.91 -1.33
H 1.67 1.52 0.39
O -2.12 -1.21 -0.02
C -1.85 -0.04 -0.14
C -1.73 0.69 -1.44
H -1.69 0.56 0.78
H -0.72 0.79 -1.82
H -2.27 0.07 -2.17
H -2.27 1.63 -1.44

---

4.
Formula: C5H10O
Source: OMol25
Level of theory: ωB97M-V with the def2-TZVPD basis set

Calculated values
Energy in eV: -7392.2445
Kohn-Sham gap in eV: 10.05
HOMO in eV: -8.873
Max |F| in Eh/bohr: 0.036
SMILES: CO[C@H]1C[C@H]1C
LUMO energy in eV: 1.1796

Cartesian coordinates (Å):
C -1.87 -0.91 0.12
O -1.16 0.17 0.67
C -0.55 0.91 -0.33
C 0.71 1.61 -0.02
C 0.88 0.23 -0.54
C 1.50 -0.82 0.39
H -2.10 -1.59 0.93
H -1.34 -1.47 -0.65
H -2.83 -0.62 -0.32
H -1.31 1.55 -0.85
H 0.93 1.79 1.02
H 1.00 2.40 -0.71
H 1.09 0.06 -1.58
H 1.23 -1.84 0.10
H 1.22 -0.68 1.43
H 2.61 -0.79 0.35

=====

<1>
Density functional theory data (ωB97M-V with the def2-TZVPD basis set) for a cluster of 2 separate species, C16H17N in total.

Each line ends with the Löwdin charge.
Element x y z (Å)
C (-4.16, -2.89, -0.15)  -0.05
C (-3.80, -1.53, -0.67)  -0.22
C (-4.48, -0.81, -1.58)  -0.07
N (-3.79, 0.35, -1.90)  0.06
C (-2.69, 0.48, -1.06)  -0.21
C (-1.80, 1.55, -0.94)  -0.01
C (-0.92, 1.40, 0.16)  -0.11
C (-0.96, 0.34, 1.07)  -0.10
C (-1.79, -0.76, 0.82)  -0.03
C (-2.70, -0.65, -0.21)  -0.14
H (-5.09, -2.84, 0.39)  0.07
H (-3.38, -3.24, 0.56)  0.07
H (-4.10, -3.70, -0.90)  0.08
H (-5.47, -0.93, -2.02)  0.12
H (-4.12, 1.10, -2.47)  0.14
H (-1.75, 2.46, -1.51)  0.10
H (-0.37, 2.32, 0.35)  0.10
H (-0.46, 0.50, 2.01)  0.10
H (-1.76, -1.60, 1.50)  0.10
C (4.33, -0.36, 2.28)  -0.06
C (3.75, 0.27, 1.05)  -0.29
C (3.52, -0.50, -0.10)  -0.05
C (3.21, 0.07, -1.33)  -0.07
C (2.77, 1.38, -1.26)  -0.12
C (3.00, 2.21, -0.19)  -0.10
C (3.49, 1.63, 1.00)  -0.06
H (3.67, -0.91, 2.96)  0.08
H (4.85, 0.38, 2.88)  0.07
H (5.07, -1.10, 1.95)  0.07
H (3.78, -1.56, 0.01)  0.11
H (3.11, -0.56, -2.19)  0.09
H (2.29, 1.97, -2.05)  0.10
H (2.82, 3.27, -0.18)  0.10
H (3.94, 2.29, 1.74)  0.11

Results
Lowest unoccupied orbital energy, eV: 0.971
Molecular weight, Da: 223.32
Orbital gap, eV: 8.67
SMILES: Cc1c[nH]c2ccccc12.Cc1ccccc1
HOMO level, eV: -7.70
Spin multiplicity: 1

***

<2>
Density functional theory data (ωB97M-V with the def2-TZVPD basis set) for a cluster of 2 separate species, C16H17N in total.

Each line ends with the Löwdin charge.
Element x y z (Å)
C (2.92, 1.56, 1.15)  -0.04
C (1.66, 1.05, 1.82)  -0.21
C (1.77, 0.29, 2.95)  -0.07
N (0.52, -0.13, 3.37)  0.07
~~~

Reply:
H -0.64 1.46 2.01
H 1.01 0.85 2.34
H -0.09 -1.52 1.73
H -0.81 -1.82 0.14
H -1.69 -0.86 1.37

---

3.
Formula: C5H10O
Source: OMol25
Level of theory: ωB97M-V with the def2-TZVPD basis set

Calculated values
Energy in eV: -7393.0223
Kohn-Sham gap in eV: 10.59
HOMO in eV: -9.547
Max |F| in Eh/bohr: 0.037
SMILES: C=CC.CC=O
LUMO energy in eV: 1.0473

Cartesian coordinates (Å):
C 1.37 -0.89 1.64
C 1.18 -0.49 0.20
C 1.63 0.67 -0.28
H 1.02 -1.91 1.82
H 0.91 -0.19 2.35
H 2.43 -0.85 1.89
H 0.74 -1.26 -0.43
H 1.69 0.91 -1.33
H 1.67 1.52 0.39
O -2.12 -1.21 -0.02
C -1.85 -0.04 -0.14
C -1.73 0.69 -1.44
H -1.69 0.56 0.78
H -0.72 0.79 -1.82
H -2.27 0.07 -2.17
H -2.27 1.63 -1.44

---

4.
Formula: C5H10O
Source: OMol25
Level of theory: ωB97M-V with the def2-TZVPD basis set

Calculated values
Energy in eV: -7392.2445
Kohn-Sham gap in eV: 10.05
HOMO in eV: -8.873
Max |F| in Eh/bohr: 0.036
SMILES: CO[C@H]1C[C@H]1C
LUMO energy in eV: 1.1796

Cartesian coordinates (Å):
C -1.87 -0.91 0.12
O -1.16 0.17 0.67
C -0.55 0.91 -0.33
C 0.71 1.61 -0.02
C 0.88 0.23 -0.54
C 1.50 -0.82 0.39
H -2.10 -1.59 0.93
H -1.34 -1.47 -0.65
H -2.83 -0.62 -0.32
H -1.31 1.55 -0.85
H 0.93 1.79 1.02
H 1.00 2.40 -0.71
H 1.09 0.06 -1.58
H 1.23 -1.84 0.10
H 1.22 -0.68 1.43
H 2.61 -0.79 0.35

=====

<1>
Density functional theory data (ωB97M-V with the def2-TZVPD basis set) for a cluster of 2 separate species, C16H17N in total.

Each line ends with the Löwdin charge.
Element x y z (Å)
C (-4.16, -2.89, -0.15)  -0.05
C (-3.80, -1.53, -0.67)  -0.22
C (-4.48, -0.81, -1.58)  -0.07
N (-3.79, 0.35, -1.90)  0.06
C (-2.69, 0.48, -1.06)  -0.21
C (-1.80, 1.55, -0.94)  -0.01
C (-0.92, 1.40, 0.16)  -0.11
C (-0.96, 0.34, 1.07)  -0.10
C (-1.79, -0.76, 0.82)  -0.03
C (-2.70, -0.65, -0.21)  -0.14
H (-5.09, -2.84, 0.39)  0.07
H (-3.38, -3.24, 0.56)  0.07
H (-4.10, -3.70, -0.90)  0.08
H (-5.47, -0.93, -2.02)  0.12
H (-4.12, 1.10, -2.47)  0.14
H (-1.75, 2.46, -1.51)  0.10
H (-0.37, 2.32, 0.35)  0.10
H (-0.46, 0.50, 2.01)  0.10
H (-1.76, -1.60, 1.50)  0.10
C (4.33, -0.36, 2.28)  -0.06
C (3.75, 0.27, 1.05)  -0.29
C (3.52, -0.50, -0.10)  -0.05
C (3.21, 0.07, -1.33)  -0.07
C (2.77, 1.38, -1.26)  -0.12
C (3.00, 2.21, -0.19)  -0.10
C (3.49, 1.63, 1.00)  -0.06
H (3.67, -0.91, 2.96)  0.08
H (4.85, 0.38, 2.88)  0.07
H (5.07, -1.10, 1.95)  0.07
H (3.78, -1.56, 0.01)  0.11
H (3.11, -0.56, -2.19)  0.09
H (2.29, 1.97, -2.05)  0.10
H (2.82, 3.27, -0.18)  0.10
H (3.94, 2.29, 1.74)  0.11

Results
Lowest unoccupied orbital energy, eV: 0.971
Molecular weight, Da: 223.32
Orbital gap, eV: 8.67
SMILES: Cc1c[nH]c2ccccc12.Cc1ccccc1
HOMO level, eV: -7.70
Spin multiplicity: 1

***

<2>
Density functional theory data (ωB97M-V with the def2-TZVPD basis set) for a cluster of 2 separate species, C16H17N in total.

Each line ends with the Löwdin charge.
Element x y z (Å)
C (2.92, 1.56, 1.15)  -0.04
C (1.66, 1.05, 1.82)  -0.21
C (1.77, 0.29, 2.95)  -0.07
N (0.52, -0.13, 3.37)  0.07